CheatGPT! Testers Difficult To Distinguish Answers Written By AI With Student Answer

Arts of cheating on the exam have grown rapidly since days of writing some notes on the wrist. In fact, a new study shows that AI chatbots make cheating more efficient than ever.

Researchers from the University of Reading secretly added the answer completely generated by ChatGPT to the actual undergraduate-level psychological exam. Despite using AI in the simplest and most obvious way, unsuspected testers fail to recognize AI's answers in 94 percent of cases.

To see if AI fraud can be detected, the researchers used a very simple system. They gave the standard prompt to ChatGPT4, for example: "Including references to academic literature but not in separate parts of reference, answer the following question in 160 words: XXX." The resulting text is then submitted directly through the university exam system.

In their test, MailOnline used this AI prompt to answer questions from undergraduate-level psychology essays. Even more worrying, AI actually gets higher scores than their average human students - reaching a value of 2:1 high and first level.

The researchers created 33 fake student profiles that they registered to take online exams at home in various undergraduate-level psychological modules. Using ChatGPT-4, the researchers created a fully artificial answer to a brief question of 200 words and a full 1,500 words essay. These answers are then submitted along with answers from real students on the School of Psychology and Clinical Language Sciences exam system.

For example, MailOnline produces essays with the same prompt. One example of this essay is written by real humans, while the other is produced by ChatGPT. Can you tell the difference? (The answer is in the box below.)

Essays produced by AI:

No examiner knows that any experiment is ongoing and nothing shows that AI paper is different. Of the 63 AI-generated papers submitted, only 6 percent were tagged by the testers as suspicious, but another 94 percent were not detected at all.

AI gains an average value higher than real students, in some modules exceeding their human counterparts with one full value limit. In 83 percent of cases, AI gets better value than randomly selected sets of students.

According to the researchers, this issue may force universities to adapt to a new way of assessing, as is the calculator that becomes more acceptable in the exam. They suggest that the use of AI in the exam may need to be allowed to avoid inevitability.

"We may not fully return to the handwritten exam, but the global education sector needs to thrive on AI," said Dr. Scarfe.

In their paper, the researchers suggested that exams may need to begin allowing the use of AI, arguing that AI-using skills may be the necessary skills in future workplaces.

=====
Density functional theory data (PBE) for an optimized crystal structure of CrGaFe2C.

a b c (Å): 3.7705 3.7705 3.8766
angles (deg): 90.00 90.00 90.00
Sites, in units of the cell vectors:
Cr1 0.0000 0.0000 0.5000
C1 0.0000 0.0000 0.0000
Fe1 0.0000 0.5000 0.0000
Fe2 0.5000 0.0000 0.0000
Ga1 0.5000 0.5000 0.5000

## Properties
**Formation energy from the elements**: -0.047 eV per atom
**Calculated total energy**: -7.81 eV per atom
**Magnetization**: 3.429 μB/f.u.


[1]
Entry from Alexandria via LeMat-Bulk: CrTcNi2 at its PBEsol-relaxed geometry (meta-GGA SCAN).

The structure in CIF format:
```
data_CrTcNi2
_chemical_formula_sum 'Cr1 Tc1 Ni2'
_space_group_name_H-M_alt 'P 1'
_space_group_IT_number 1
_space_group_name_Hall 'P 1'
_cell_length_a 4.030
_cell_length_b 4.030
_cell_length_c 4.030
_cell_angle_alpha 60.00
_cell_angle_beta 60.00
_cell_angle_gamma 60.00
loop_
_atom_site_label
_atom_site_type_symbol
_atom_site_fract_x
_atom_site_fract_y
_atom_site_fract_z
_atom_site_occupancy
Cr1 Cr 0.500 0.500 0.500 1
Ni1 Ni 0.000 0.000 0.000 1
Ni2 Ni 0.750 0.750 0.750 1
Tc1 Tc 0.250 0.250 0.250 1
```

Computed properties:
The total energy is -21.336 eV per atom. The calculation puts the energy relative to the elements at 0.1114 eV/atom. The space-group type is F-43m, No. 216.

=====

[2]
Entry from Alexandria via LeMat-Bulk: CrTcNi2 at its PBEsol-relaxed geometry (meta-GGA SCAN).

The structure in CIF format:
```
data_CrTcNi2
_chemical_formula_sum 'Cr1 Tc1 Ni2'
_space_group_name_H-M_alt 'P 1'
_space_group_IT_number 1
_space_group_name_Hall 'P 1'
_cell_length_a 2.500
_cell_length_b 4.069
_cell_length_c 4.480
_cell_angle_alpha 90.00
_cell_angle_beta 89.97
_cell_angle_gamma 90.00
loop_
_atom_site_label
_atom_site_type_symbol
_atom_site_fract_x
_atom_site_fract_y
_atom_site_fract_z
_atom_site_occupancy
Ni1 Ni 0.875 0.000 0.969 1
Ni2 Ni 0.875 0.500 0.274 1
Tc1 Tc 0.375 0.000 0.467 1
Cr1 Cr 0.376 0.500 0.789 1
```

Computed properties:
The total energy is -21.432 eV per atom. The calculation puts the energy relative to the elements at 0.0162 eV/atom. The space-group type is Pmm2, No. 25.

=====

[3]
Entry from Alexandria via LeMat-Bulk: CrTcNi6 at its PBEsol-relaxed geometry (meta-GGA SCAN).

The structure in CIF format:
```
data_CrTcNi6
_chemical_formula_sum 'Cr4 Tc4 Ni24'
_space_group_name_H-M_alt 'P 1'
_space_group_IT_number 1
_space_group_name_Hall 'P 1'
_cell_length_a 6.121
_cell_length_b 6.121
_cell_length_c 9.992
_cell_angle_alpha 90.00
_cell_angle_beta 90.00
_cell_angle_gamma 109.44
loop_
_atom_site_label
_atom_site_type_symbol
_atom_site_fract_x
_atom_site_fract_y
_atom_site_fract_z
_atom_site_occupancy
Cr1 Cr 0.250 0.750 0.000 1
Cr2 Cr 0.750 0.250 0.000 1
Cr3 Cr 0.500 0.500 0.753 1
Cr4 Cr 0.500 0.500 0.247 1
Ni1 Ni 0.250 0.750 0.750 1
Ni2 Ni 0.875 0.624 0.876 1
Ni3 Ni 0.125 0.376 0.876 1
Ni4 Ni 0.750 0.250 0.750 1
Ni5 Ni 0.376 0.125 0.876 1
Ni6 Ni 0.624 0.875 0.876 1
Ni7 Ni 0.500 0.500 0.500 1
Ni8 Ni 0.125 0.375 0.626 1
Ni9 Ni 0.375 0.125 0.626 1
=====

"The new NORMal integrating AI seems inevitable. The form of an authentic assessment will be one where AI is used," said Prof. McCrum. "The solutions include moving away from the outdated scoring idea and towards something more in line with the skills students will need at work, including utilizing AI."